## Exercise
Restate the whole of the block further down without altering anything.

## Data
-- begin --
#one
# GGA-PBE RbCr2SnAs, optimized geometry
# * spin magnetization: 0.12 μB/f.u.
data_RbCr2SnAs
_chemical_formula_sum 'Rb1 Cr2 Sn1 As1'
_cell_length_a 4.535
_cell_length_b 4.535
_cell_length_c 5.867
_cell_angle_alpha 90.00
_cell_angle_beta 90.00
_cell_angle_gamma 90.00
_symmetry_space_group_name_H-M 'P 4/m m m'
_symmetry_Int_Tables_number 123
_symmetry_space_group_name_Hall '-P 4 2'
loop_
_atom_site_label
_atom_site_type_symbol
_atom_site_fract_x
_atom_site_fract_y
_atom_site_fract_z
Rb1 Rb 0.000 0.000 0.000
Cr1 Cr 0.000 0.500 0.000
Sn1 Sn 0.000 0.000 0.500
As1 As 0.500 0.500 0.500

#two
# GGA-PBE RbCr2SnAs, optimized geometry
# * spin magnetization: 8.42 μB/f.u.
data_RbCr2SnAs
_chemical_formula_sum 'Rb1 Cr2 Sn1 As1'
_cell_length_a 5.039
_cell_length_b 5.039
_cell_length_c 5.875
_cell_angle_alpha 90.00
_cell_angle_beta 90.00
_cell_angle_gamma 90.00
_symmetry_space_group_name_H-M 'P 4/m m m'
_symmetry_Int_Tables_number 123
_symmetry_space_group_name_Hall '-P 4 2'
loop_
_atom_site_label
_atom_site_type_symbol
_atom_site_fract_x
_atom_site_fract_y
_atom_site_fract_z
Rb1 Rb 0.000 0.000 0.000
Cr1 Cr 0.000 0.500 0.500
Sn1 Sn 0.500 0.500 0.000
As1 As 0.500 0.500 0.500

Which structure is most stable? #two, by 2171 meV per atom over the runner-up.

#one
# GGA-PBE CrReAs2, optimized geometry
# * spin magnetization: 0.00 μB/f.u.
data_CrReAs2
_chemical_formula_sum 'Cr1 Re1 As2'
_cell_length_a 3.006
_cell_length_b 4.481
_cell_length_c 4.336
_cell_angle_alpha 90.00
_cell_angle_beta 90.00
_cell_angle_gamma 90.00
_symmetry_space_group_name_H-M 'P m m 2'
_symmetry_Int_Tables_number 25
loop_
_symmetry_equiv_pos_as_xyz
'x,y,z'
'-x,-y,z'
'-x,y,z'
'x,-y,z'
loop_
_atom_site_label
_atom_site_type_symbol
_atom_site_fract_x
_atom_site_fract_y
_atom_site_fract_z
Cr1 Cr 0.000 0.000 0.000
Re1 Re 0.500 0.500 0.774
As1 As 0.000 0.500 0.257
As2 As 0.500 0.000 0.508

#two
# GGA-PBE CrReAs2, optimized geometry
# * spin magnetization: 3.70 μB/f.u.
data_CrReAs2
_chemical_formula_sum 'Cr4 Re4 As8'
_cell_length_a 5.630
_cell_length_b 5.630
_cell_length_c 11.272
_cell_angle_alpha 90.00
_cell_angle_beta 90.00
_cell_angle_gamma 90.00
_symmetry_space_group_name_H-M 'I -4 2 d'
_symmetry_Int_Tables_number 122
_symmetry_space_group_name_Hall 'I -4 2bw'
loop_
_atom_site_label
_atom_site_type_symbol
_atom_site_fract_x
_atom_site_fract_y
_atom_site_fract_z
Cr1 Cr 0.000 0.000 0.000
Re1 Re 0.000 0.000 0.500
As1 As 0.237 0.250 0.625

Which structure is most stable? #one, by 407 meV per atom over the runner-up.

#one
# GGA-PBE CrRe3As, optimized geometry
# * spin magnetization: 0.00 μB/f.u.
data_CrRe3As
_chemical_formula_sum 'Cr1 Re3 As1'
_cell_length_a 4.476
_cell_length_b 4.476
_cell_length_c 4.476
_cell_angle_alpha 90.00
_cell_angle_beta 90.00
_cell_angle_gamma 90.00
_symmetry_space_group_name_H-M 'P m -3 m'
_symmetry_Int_Tables_number 221
_symmetry_space_group_name_Hall '-P 4 2 3'
loop_
_atom_site_label
_atom_site_type_symbol
_atom_site_fract_x
_atom_site_fract_y
_atom_site_fract_z
Cr1 Cr 0.000 0.000 0.000
Re1 Re 0.000 0.000 0.500
As1 As 0.500 0.500 0.500

#two
# GGA-PBE CrRe3As, optimized geometry
# * spin magnetization: 0.14 μB/f.u.
data_CrRe3As
_chemical_formula_sum 'Cr1 Re3 As1'
_cell_length_a 4.479
_cell_length_b 4.479
_cell_length_c 4.479
_cell_angle_alpha 90.00
_cell_angle_beta 90.00
_cell_angle_gamma 90.00
_symmetry_space_group_name_H-M 'P m -3 m'
_symmetry_Int_Tables_number 221
_symmetry_space_group_name_Hall '-P 4 2 3'
loop_
_atom_site_label
_atom_site_type_symbol
_atom_site_fract_x
_atom_site_fract_y
_atom_site_fract_z
Cr1 Cr 0.000 0.000 0.000
Re1 Re 0.000 0.500 0.500
As1 As 0.500 0.500 0.500

Which structure is most stable? #one, by 181 meV per atom over the runner-up.

#one
# GGA-PBE Cr3ReAs, optimized geometry
# * spin magnetization: 3.66 μB/f.u.
data_Cr3ReAs
_chemical_formula_sum 'Cr3 Re1 As1'
_cell_length_a 4.367
_cell_length_b 4.367
_cell_length_c 4.367
_cell_angle_alpha 90.00
_cell_angle_beta 90.00
_cell_angle_gamma 90.00
-- stop --

## Completed
#one
# GGA-PBE RbCr2SnAs, optimized geometry
# * spin magnetization: 0.12 μB/f.u.
data_RbCr2SnAs
_chemical_formula_sum 'Rb1 Cr2 Sn1 As1'
_cell_length_a 4.535
_cell_length_b 4.535
_cell_length_c 5.867
_cell_angle_alpha 90.00
_cell_angle_beta 90.00
_cell_angle_gamma 90.00
_symmetry_space_group_name_H-M 'P 4/m m m'
_symmetry_Int_Tables_number 123
_symmetry_space_group_name_Hall '-P 4 2'
loop_
_atom_site_label
_atom_site_type_symbol
_atom_site_fract_x
_atom_site_fract_y
_atom_site_fract_z
Rb1 Rb 0.000 0.000 0.000
Cr1 Cr 0.000 0.500 0.000
Sn1 Sn 0.000 0.000 0.500
As1 As 0.500 0.500 0.500

#two
# GGA-PBE RbCr2SnAs, optimized geometry
# * spin magnetization: 8.42 μB/f.u.
data_RbCr2SnAs
_chemical_formula_sum 'Rb1 Cr2 Sn1 As1'
_cell_length_a 5.039
_cell_length_b 5.039
_cell_length_c 5.875
_cell_angle_alpha 90.00
_cell_angle_beta 90.00
_cell_angle_gamma 90.00
_symmetry_space_group_name_H-M 'P 4/m m m'
_symmetry_Int_Tables_number 123
_symmetry_space_group_name_Hall '-P 4 2'
loop_
_atom_site_label
_atom_site_type_symbol
_atom_site_fract_x
_atom_site_fract_y
_atom_site_fract_z
Rb1 Rb 0.000 0.000 0.000
Cr1 Cr 0.000 0.500 0.500
Sn1 Sn 0.500 0.500 0.000
As1 As 0.500 0.500 0.500

Which structure is most stable? #two, by 2171 meV per atom over the runner-up.

#one
# GGA-PBE CrReAs2, optimized geometry
# * spin magnetization: 0.00 μB/f.u.
data_CrReAs2
_chemical_formula_sum 'Cr1 Re1 As2'
_cell_length_a 3.006
_cell_length_b 4.481
_cell_length_c 4.336
_cell_angle_alpha 90.00
_cell_angle_beta 90.00
_cell_angle_gamma 90.00
_symmetry_space_group_name_H-M 'P m m 2'
_symmetry_Int_Tables_number 25
loop_
_symmetry_equiv_pos_as_xyz
'x,y,z'
'-x,-y,z'
'-x,y,z'
'x,-y,z'
loop_
_atom_site_label
_atom_site_type_symbol
_atom_site_fract_x
_atom_site_fract_y
_atom_site_fract_z
Cr1 Cr 0.000 0.000 0.000
Re1 Re 0.500 0.500 0.774
As1 As 0.000 0.500 0.257
As2 As 0.500 0.000 0.508

#two
# GGA-PBE CrReAs2, optimized geometry
# * spin magnetization: 3.70 μB/f.u.
data_CrReAs2
_chemical_formula_sum 'Cr4 Re4 As8'
_cell_length_a 5.630
_cell_length_b 5.630
_cell_length_c 11.272
_cell_angle_alpha 90.00
_cell_angle_beta 90.00
_cell_angle_gamma 90.00
_symmetry_space_group_name_H-M 'I -4 2 d'
_symmetry_Int_Tables_number 122
_symmetry_space_group_name_Hall 'I -4 2bw'
loop_
_atom_site_label
_atom_site_type_symbol
_atom_site_fract_x
_atom_site_fract_y
_atom_site_fract_z
Cr1 Cr 0.000 0.000 0.000
Re1 Re 0.000 0.000 0.500
As1 As 0.237 0.250 0.625

Which structure is most stable? #one, by 407 meV per atom over the runner-up.

#one
# GGA-PBE CrRe3As, optimized geometry
# * spin magnetization: 0.00 μB/f.u.
data_CrRe3As
_chemical_formula_sum 'Cr1 Re3 As1'
_cell_length_a 4.476
_cell_length_b 4.476
_cell_length_c 4.476
_cell_angle_alpha 90.00
_cell_angle_beta 90.00
_cell_angle_gamma 90.00
_symmetry_space_group_name_H-M 'P m -3 m'
_symmetry_Int_Tables_number 221
_symmetry_space_group_name_Hall '-P 4 2 3'
loop_
_atom_site_label
_atom_site_type_symbol
_atom_site_fract_x
_atom_site_fract_y
_atom_site_fract_z
Cr1 Cr 0.000 0.000 0.000
Re1 Re 0.000 0.000 0.500
As1 As 0.500 0.500 0.500

#two
# GGA-PBE CrRe3As, optimized geometry
# * spin magnetization: 0.14 μB/f.u.
data_CrRe3As
_chemical_formula_sum 'Cr1 Re3 As1'
_cell_length_a 4.479
_cell_length_b 4.479
_cell_length_c 4.479
_cell_angle_alpha 90.00
_cell_angle_beta 90.00
_cell_angle_gamma 90.00
_symmetry_space_group_name_H-M 'P m -3 m'
_symmetry_Int_Tables_number 221
_symmetry_space_group_name_Hall '-P 4 2 3'
loop_
_atom_site_label
_atom_site_type_symbol
_atom_site_fract_x
_atom_site_fract_y
_atom_site_fract_z
Cr1 Cr 0.000 0.000 0.000
Re1 Re 0.000 0.500 0.500
As1 As 0.500 0.500 0.500

Which structure is most stable? #one, by 181 meV per atom over the runner-up.

#one
# GGA-PBE Cr3ReAs, optimized geometry
# * spin magnetization: 3.66 μB/f.u.
data_Cr3ReAs
_chemical_formula_sum 'Cr3 Re1 As1'
_cell_length_a 4.367
_cell_length_b 4.367
_cell_length_c 4.367
_cell_angle_alpha 90.00
_cell_angle_beta 90.00
_cell_angle_gamma 90.00